

Study on Medical Practitioners in the Period of the Republic of China (1912-1937)

Misplaced data records.
-- begin --
Arrangement A

Li3BeSe | PBE | relaxed

Summary:
Total magnetic moment: 0.25 μB/f.u.

Lattice parameters (Å, degrees): 4.7865 4.7865 4.7865 90.00 90.00 90.00
Closest atoms and distances in Å follow each position.
Space group Pm-3m (No. 221)
Inequivalent atoms, fractional coordinates:
1 Li 0.0000 0.0000 0.5000 (multiplicity 3)  2 Se 2.39
2 Be 0.5000 0.5000 0.5000 (multiplicity 1)  12 Li 3.38
3 Se 0.0000 0.0000 0.0000 (multiplicity 1)  6 Li 2.39

Arrangement B

Li3BeSe | PBE | relaxed

Summary:
Total magnetic moment: 0.89 μB/f.u.

Lattice parameters (Å, degrees): 4.5075 4.5075 4.5075 90.00 90.00 90.00
Closest atoms and distances in Å follow each position.
Space group Pm-3m (No. 221)
Inequivalent atoms, fractional coordinates:
1 Li 0.0000 0.0000 0.5000 (multiplicity 3)  2 Be 2.25
2 Be 0.0000 0.0000 0.0000 (multiplicity 1)  6 Li 2.25
3 Se 0.5000 0.5000 0.5000 (multiplicity 1)  12 Li 3.19

Computed stability ranking, most favorable first: arrangement A, arrangement B

Arrangement A

Li2BeSi | PBE | relaxed

Summary:
Total magnetic moment: 0.00 μB/f.u.

Lattice parameters (Å, degrees): 2.5994 2.5994 26.2608 90.00 90.00 120.00
Closest atoms and distances in Å follow each position.
Space group R-3m (No. 166, hexagonal axes)
Inequivalent atoms, fractional coordinates:
1 Li 0.0000 0.0000 0.2491 (multiplicity 6)  6 Li 2.60, 3 Si 2.63, 3 Be 2.67
2 Be 0.0000 0.0000 0.0000 (multiplicity 3)  6 Be 2.60, 6 Li 2.67
3 Si 0.0000 0.0000 0.5000 (multiplicity 3)  6 Si 2.60, 6 Li 2.63

Arrangement B

Li2BeSi | PBE | relaxed

Summary:
Total magnetic moment: 0.00 μB/f.u.

Lattice parameters (Å, degrees): 4.8819 8.0719 2.5669 90.00 90.00 90.00
Closest atoms and distances in Å follow each position.
Space group Cmmm (No. 65)
Inequivalent atoms, fractional coordinates:
1 Li 0.2500 0.2500 0.0000 (multiplicity 4)  4 Li 2.44-2.57, 4 Be 2.68, 4 Si 2.68
2 Be 0.0000 0.0000 0.5000 (multiplicity 2)  2 Si 2.44, 2 Be 2.57, 8 Li 2.68
3 Si 0.0000 0.5000 0.5000 (multiplicity 2)  2 Be 2.44, 2 Si 2.57, 8 Li 2.68

Computed stability ranking, most favorable first: arrangement B, arrangement A

Arrangement A

LiBeSi3 | PBE | relaxed

Summary:
Total magnetic moment: 0.00 μB/f.u.

Lattice parameters (Å, degrees): 4.3433 4.3433 4.3433 90.00 90.00 90.00
Closest atoms and distances in Å follow each position.
Space group Pm-3m (No. 221)
Inequivalent atoms, fractional coordinates:
1 Li 0.0000 0.0000 0.0000 (multiplicity 1)  12 Si 3.07
2 Be 0.5000 0.5000 0.5000 (multiplicity 1)  6 Si 2.17
3 Si 0.0000 0.5000 0.5000 (multiplicity 3)  2 Be 2.17

Arrangement B

LiBeSi3 | PBE | relaxed

Summary:
Total magnetic moment: 0.00 μB/f.u.

Lattice parameters (Å, degrees): 4.3104 4.3104 4.3104 90.00 90.00 90.00
Closest atoms and distances in Å follow each position.
Space group Pm-3m (No. 221)
Inequivalent atoms, fractional coordinates:
1 Li 0.0000 0.0000 0.0000 (multiplicity 1)  6 Si 2.16
2 Be 0.5000 0.5000 0.5000 (multiplicity 1)  12 Si 3.05
3 Si 0.0000 0.0000 0.5000 (multiplicity 3)  2 Li 2.16
-- stop --

【作者】 尹倩

【导师】 朱英;

【作者基本信息】 华中师范大学 , 社会史, 2008, 博士


【摘要】 本文试图在中国近代社会变迁的背景下,以上海为主要考察地区,探寻民国时期医师群体的专业化进程,以及在此过程中政府、医师群体、社会民众三者之间的互动关系,力求融合医学史与社会史的方法,展现出作为专业群体的医师在中国近代社会中特有的发展轨迹以及给近代社会带来的影响,并借此更加深入地理解中国社会的近代转型。全文共分五章:第一章主要阐述民国时期医师群体的基本情况。在近代中国社会急剧变化以及西方文化持续涌入的过程中,包括中医与西医在内的医师群体迅速发展起来。但其成员构成则由于特殊的历史、社会原因而呈现出良莠杂陈、混乱失范的状态。作为“自由职业群体”,医师群体可以采取灵活多样的执业方式,获得较富足的生活及一定的社会声望,成为都市中专业职群、中产阶层、智识阶层的一份子。第二章主要探讨民国时期医师群体的专业化过程以及在此过程中专业团体与政府力量的互动。随着医师群体职业意识的日益萌发,各种专业团体纷纷出现,成为医界主动追求专业性的重要工具。医师群体通过不断完善专业团体的组织形式和治理机制,扩展组织功能,一直力图树立其行业权威,追求着对医师群体专业化发展的主导权,同时也一直力图向政府寻求支持和保障,以推动专业医师制度的建构。政府将医师职制的设计纳入到国家的制度规范中,与医师群体在专业化诉求上达成一致,但对医师群体的监管和控制与医师群体对独立专业权威的追求不可避免地造成了利益上的冲突。各级政府、各类团体和各种社会力量的权衡和对话始终交织着,给民国时期医师群体的专业化过程打上了特有的时代烙印。第三章主要围绕在医师群体内部中西医师之间的纠葛,探讨中西医的并存对医师专业化本身及社会所带来的影响,并从中考察医师与政府、社会民众之间的微妙关系。中医和西医是民国时期医师群体的两大组成部分,他们既有着不同学术体系的医学背景,在职场上又是针锋相对的竞争对手,虽然作为医生个体他们之间的关系未必象世人所想的那样紧张,但两者的冲突和纷争却是无法忽略的事实。中西医双方从学术论争升级到政治冲突后,都力图充分利用自身的国家和社会资源以达到自身的目的。当西医界寄希望通过政府的强制力量取代中医的地位时,中医界也奋起反抗,利用其社会资源向政府施压,终于捍卫了生存的权力。而政府在仿照西方试图构建一个现代国家时,找不到将传统因素吸纳入现代国家建构的经验,其应对措施也因此显得仓促而犹豫,反而加重了中西医之间的隔阂。终民国一世,中西医界始终在相互斗争中并存和发展。在医界的纷争中,中西医双方都有意无意受到了对方的影响,西医加速了本土化的进程,而中医也力图使自己适应现代社会的专业制度。医师群体正是在内部中西文化的冲突和融合中经历了一段特殊的专业化进程。第四章主要探讨民国时期的医病关系,并以此视角进一步考察医师与社会、国家之间的关系。氏国时期医师社会地位的转变、医疗空间的转换以及医疗模式的变化,使得传统以病家为主体的医病关系开始转变,医师在医病关系中的主体性开始凸现。但医师群体经济、社会地位的提高却反衬出其社会形象的恶化。民众对医师的商业化的增强和责任感的缺乏感到普遍的失望,医师也对病家的就医观念和态度感到不满,医病关系日趋紧张。针对这一状况,医师们一方面加强现代职业道德的探讨和建设,另一方面更多地试图通过对病人的“教育”来构建现代的医病关系,但并没有取得预期的效果。没有得到有效缓解的医病矛盾导致民国时期医讼的频繁发生。而在解决医疗官司的过程中,由于缺乏权威的鉴定机构,国家的介入也很难得到医师和民众双方的满意,三方博弈的结果直接决定着医讼的结局。而紧张的医病关系也成为医师群体专业化进程中一直未能解决的难题。第五章主要考察医师群体给中国社会带来的深远影响。“上医医国”的传统和“医学救国”的思潮使得民国时期的医师群体中的精英分子并不满足于“治一病愈一人”,而是立志于振兴中华民族,摆脱“东亚病夫”的屈辱。作为专业知识分子,他们利用自身的医学背景,积极参与卫生行政,希望能推动和影响囊括医师、医疗、公共卫生在内的中国医疗卫生体系的构建,同时通过各种途径传播医学知识,并通过改良旧俗等措施力图增强整个民族的体质,达到强种强国的目的。作为新兴的中产阶级,他们在民族、政治和社会事务中都努力发出自己的声音。源于这种公共性与专业性相交织的特性,民国时期的医师群体给近代中国社会带来了独特而深远的影响。结语:医师群体在民国时期加快了其专业化进程,成为中国近代社会专业化程度最高的职群之一;他作为知识阶层的一部分,所具备的横贯中西的教育背景和知识结构给予了其推动了自身专业化的进程乃至影响社会的力量;他作为社会中产阶级的一份子,在政府和民众之间不断寻求着更大的发展空间。其专业化的进程以及与社会、政府之间的关系可以为我们展示近代社会转型的一个层面。

**Someone pasted calculated crystals at this point**
+++
PBE La2Y4Ho5, relaxed; distance to the lowest polymorph of the same formula = 0.000 eV/atom; formation energy from the elements = 0.150 eV/atom; SG = C2/m (12); crystal system = monoclinic
1.0
11.9955 -1.7244 0.0000
11.9955 1.7244 0.0000
-1.0024 0.0000 8.7541
La Y Ho
2 4 5
Direct
0.0925 0.0925 0.2514 La
0.9075 0.9075 0.7486 La
0.0462 0.0462 0.8613 Y
0.3208 0.3208 0.0255 Y
0.6792 0.6792 0.9745 Y
0.9538 0.9538 0.1387 Y
0.1416 0.1416 0.6254 Ho
0.2343 0.2343 0.3275 Ho
0.5000 0.5000 0.5000 Ho
0.7657 0.7657 0.6725 Ho
0.8584 0.8584 0.3746 Ho
+++
**The calculated crystals stop here**

【Abstract】 This thesis mainly examines medical practitioners in Shanghai and probes the process of their professionalization and the interplay among the government, medical practitioners, and the public in he period of the republic of China under the background of the development of Chinese modem society. It employs approaches of the medical history and social history to unfolds the unique professionalization of medical practitioners, as professionals, in Chinese modem society, and thereby its influence on the modem society so that we can have more thorough understanding of the social transformation during modern times. The thesis is divided into the following five parts.First, the thesis makes a general description of medical practitioners in he period of the republic of China. When the Chinese society experienced drastic changes and was flooded with western culture, medical practitioners, including traditional Chinese and foreign doctors were developing rapidly. However, not all of them were qualified and licensed because of some special historical and social factors. As professionals, they had flexible ways of practicing medicine, got rich and social prestige, and became a part of professionals, the middle-class, and intelligentsia in the municipalities.Second, the thesis discusses the professionalization process of medical practitioners and the interplay between medical association and the government. With the arising of professional awareness among medical practitioners, all kinds of associations came into being and became significant channels to pursue professionalization. They continued to perfect their professional organizations and administrative mechanisms, expanded working functions to build up authoritative position in the field, so as to seize the leading of the professionalization, as well as gained the support and safeguard from the government to promote the establishment of professional doctors system. The government put the medical register system in the systems and regulations of the nation to reach an agreement on the demand of professionalization. However, there were obvious conflicts between the government’s supervision and control of medical practitioners and their pursuing of the authoritative position. The balancing and dialogues were tangling episodes among, different levels of governments, associations and social powers, which characterized the professionalization process of medical practitioners in the period of the republic of China.Third, the thesis revolves around the conflicts among native medical and western medical practitioners, discusses the co-existence of native medical and western medical practitioners and its influence on their professionalization and the society, and examines the subtle relationship among medical practitioners, the government and the public, native medical practitioners and western medical practitioners were the two main parts of doctors in the period of the republic of China. They had different medical background which fell into different academic systems. They were competing rivals in the medical field. Although their relationship was not so tense as expected, their conflicts and disputes couldn’t be ignored. From academic arguments to political clashes, they attempted to make full use of their nations and social resources to achieve their own goals. When western medical practitioners hoped to substitute native medical practitioners with the help of the government, traditional Chinese doctors rose and resisted, put pressure on the government and finally safeguarded their right of existence. While the government was imitating the western countries to establish a modern country, they couldn’t find the ways to absorb the traditional factors into the construction of a modem society. It hesitated to take measures so that the situation was deteriorating, native medical and western medical practitioners coexisted and developed in their conflicting during the whole period of the republic of China. In this process, both parties were unconsciously influenced by their rivals respectively. For one thing, Western medical practitioners were more and more localized. For another, native medical practitioners attempted to adapt to the professional system in the modern society. It was in the conflicting and integration of Chinese and western culture that the medical practitioners went through very special professionalization process.Fourth, the thesis discusses the doctor-patient relationship and furthermore examines the relation of medical practitioners, the society and the nation from this perspective. The social position of medical practitioners improved, and the changes of iatrical space and modes of practicing medicine began to change the traditional doctor-patient relationship, in which patients were the main concern, and the Subjective role of medical practitioners was highlighted. However, the enhancing of their economic, and social positions made a sharp contrast to the deterioration of their social images. People were widely disappointed at their commercialization and their lack of responsibility while medical practitioners were dissatisfied with patients’ attitude and ideas of treatment and their relation became more and more tense. In order to solve the problem, on the one hand, medical practitioners reinforced the discussion and construction of the modem professional morals. On the other hand, they attempted to educate patients to establish the modem doctor-patient relationship, but in vain. The conflicts which couldn’t be effectively mitigated led to the frequent occurrences of medical lawsuit. However, in the process of dealing with these cases, the intervention of the government couldn’t satisfy both sides, and gambling of three sides directly determined the results of these medical cases because of the lack of authoritative evaluation organization. And the tense relation was an issue which failed to be resolved in the professionalization of medical practitioners.Lastly, the thesis examines the profound influences of medical practitioners on the Chinese society. Influenced by the tradition of "an outstanding doctor be able to work with hope of doing for his country ", which became a trade in modern china, the elites of medical practitioners were no longer satisfied with curing patients. They were ambitious to make our nation more prosperous and get rid of the insult of Sick Man of East Asia. As professional literates, they exploited their medical background and participated administration of sanitation actively in the hope to promote and influence the Chinese medical sanitary system which includes doctors, medical practice and public sanitation. At the same time, they took measures such ad spread the medical knowledge, reformed old customs to strengthen the quality of the whole nation to empower the country and its people. As the new middle-class, they had their voices in the national, political and social affairs. The medical practitioners in he period of the republic of China brought about profound and unique influences on the Chinese modern society because of the combination of publicity and speciality.Conclusion: In he period of the republic of China, the medical practitioners accelerated the professionalization process and became one of the most professionalized lines of work. As a part of the literate class, their educational background and knowledge, in which the Chinese and western parts were perfectly integrated, made them the force to push forward the professionalization and to have impact on the society. As the element in the middle-class, they looked for a larger place to develop between the government and the public. Their professionalization process and their relation with the government and the society can be a facet to exhibit the modern social transformation.

  • 【分类号】R-09;K258
  • 【被引频次】8
  • 【下载频次】1343

